Now write out everything further down character by character.

=====
[1]
Entry from the Alexandria database: a geometry-optimized FeHg5 structure (PBE).

Cell and atoms, written as extended XYZ:
```
6
Lattice="5.634 0.000 0.000 -2.817 4.879 0.000 0.000 0.000 5.877" Properties=species:S:1:pos:R:3 pbc="T T T"
Fe 0.000 0.000 0.000
Hg -1.408 2.439 2.938
Hg 0.000 3.253 0.000
Hg 2.817 0.000 2.938
Hg 1.408 2.439 2.938
Hg 2.817 1.626 0.000
```

Properties
- E_form (eV/atom) = 0.620
- total magnetic moment (Bohr magnetons per cell) = 3.45
- density of states at the Fermi level (states/eV/atom) = 1.334
- SG = P6/mmm (191)
- volume (Å³/cell) = 162

[2]
Entry from the Alexandria database: a geometry-optimized Fe2Hg structure (PBE).

Cell and atoms, written as extended XYZ:
```
6
Lattice="2.953 0.000 0.000 0.000 3.878 0.000 -0.297 0.000 8.810" Properties=species:S:1:pos:R:3 pbc="T T T"
Fe -0.010 0.970 0.899
Fe 1.187 0.970 7.729
Fe 1.469 2.909 1.081
Fe 2.666 2.909 7.911
Hg 1.210 2.909 5.537
Hg 1.446 0.970 3.273
```

Properties
- E_form (eV/atom) = 0.297
- total magnetic moment (Bohr magnetons per cell) = 10.03
- density of states at the Fermi level (states/eV/atom) = 0.758
- SG = P2_1/m (11)
- volume (Å³/cell) = 101

[3]
Entry from the Alexandria database: a geometry-optimized Fe2Hg structure (PBE).

Cell and atoms, written as extended XYZ:
```
6
Lattice="1.463 -8.545 0.000 1.463 8.545 0.000 0.000 0.000 3.922" Properties=species:S:1:pos:R:3 pbc="T T T"
Fe 1.463 7.626 2.942
Fe 1.463 1.060 2.942
Fe 1.463 -1.060 0.981
Fe 1.463 -7.626 0.981
Hg 1.463 3.261 0.981
Hg 1.463 -3.261 2.942
```

Properties
- E_form (eV/atom) = 0.300
- total magnetic moment (Bohr magnetons per cell) = 9.89
- density of states at the Fermi level (states/eV/atom) = 0.796
- SG = Cmcm (63)
- volume (Å³/cell) = 98

[4]
Entry from the Alexandria database: a geometry-optimized FeHg2 structure (PBE).

Cell and atoms, written as extended XYZ:
```
6
Lattice="0.000 3.992 3.992 3.992 0.000 3.992 3.992 3.992 0.000" Properties=species:S:1:pos:R:3 pbc="T T T"
Fe 0.998 0.998 0.998
Fe 6.986 6.986 6.986
Hg 3.992 1.996 1.996
Hg 1.996 3.992 1.996
Hg 1.996 1.996 3.992
Hg 3.992 3.992 3.992
```

Properties
- E_form (eV/atom) = 0.876
- total magnetic moment (Bohr magnetons per cell) = 5.76
- density of states at the Fermi level (states/eV/atom) = 0.730
- SG = Fd-3m (227)
- volume (Å³/cell) = 127

[5]
Entry from the Alexandria database: a geometry-optimized FeHg2 structure (PBE).

Cell and atoms, written as extended XYZ:
```
6
Lattice="4.783 0.000 0.000 -2.391 4.142 0.000 0.000 0.000 5.786" Properties=species:S:1:pos:R:3 pbc="T T T"
Fe 0.000 2.761 1.447
Fe 2.391 1.381 4.340
Hg 0.000 0.000 0.000
Hg 0.000 0.000 2.893
Hg 0.000 2.761 4.340
Hg 2.391 1.381 1.447
```

Properties
- E_form (eV/atom) = 0.569
- total magnetic moment (Bohr magnetons per cell) = 5.52
- density of states at the Fermi level (states/eV/atom) = 1.430
- SG = P6_3/mmc (194)
- volume (Å³/cell) = 115

[6]
Entry from the Alexandria database: a geometry-optimized Fe5Hg structure (PBE).

Cell and atoms, written as extended XYZ:
```
6
Lattice="4.874 0.000 0.000 -2.437 4.221 0.000 0.000 0.000 4.022" Properties=species:S:1:pos:R:3 pbc="T T T"
Fe -1.218 2.110 0.000
Fe 0.000 2.814 2.011
Fe 2.437 0.000 0.000
Fe 1.218 2.110 0.000
Fe 2.437 1.407 2.011
Hg 0.000 0.000 2.011
```

Properties
- E_form (eV/atom) = 0.357
- total magnetic moment (Bohr magnetons per cell) = 11.37
- density of states at the Fermi level (states/eV/atom) = 1.176
- SG = P6/mmm (191)
- volume (Å³/cell) = 83

[7]
Entry from the Alexandria database: a geometry-optimized Fe2Hg structure (PBE).

Cell and atoms, written as extended XYZ:
```
6
Lattice="0.000 3.552 3.552 3.552 0.000 3.552 3.552 3.552 0.000" Properties=species:S:1:pos:R:3 pbc="T T T"
Fe 0.000 0.000 0.000
Fe 1.776 1.776 0.000
Fe 1.776 0.000 1.776
Fe 0.000 1.776 1.776
Hg 2.664 2.664 2.664
Hg 4.440 4.440 4.440
```

Properties
- E_form (eV/atom) = 0.365
- total magnetic moment (Bohr magnetons per cell) = 10.09
- density of states at the Fermi level (states/eV/atom) = 0.701
=====

[1]
Entry from the Alexandria database: a geometry-optimized FeHg5 structure (PBE).

Cell and atoms, written as extended XYZ:
```
6
Lattice="5.634 0.000 0.000 -2.817 4.879 0.000 0.000 0.000 5.877" Properties=species:S:1:pos:R:3 pbc="T T T"
Fe 0.000 0.000 0.000
Hg -1.408 2.439 2.938
Hg 0.000 3.253 0.000
Hg 2.817 0.000 2.938
Hg 1.408 2.439 2.938
Hg 2.817 1.626 0.000
```

Properties
- E_form (eV/atom) = 0.620
- total magnetic moment (Bohr magnetons per cell) = 3.45
- density of states at the Fermi level (states/eV/atom) = 1.334
- SG = P6/mmm (191)
- volume (Å³/cell) = 162

[2]
Entry from the Alexandria database: a geometry-optimized Fe2Hg structure (PBE).

Cell and atoms, written as extended XYZ:
```
6
Lattice="2.953 0.000 0.000 0.000 3.878 0.000 -0.297 0.000 8.810" Properties=species:S:1:pos:R:3 pbc="T T T"
Fe -0.010 0.970 0.899
Fe 1.187 0.970 7.729
Fe 1.469 2.909 1.081
Fe 2.666 2.909 7.911
Hg 1.210 2.909 5.537
Hg 1.446 0.970 3.273
```

Properties
- E_form (eV/atom) = 0.297
- total magnetic moment (Bohr magnetons per cell) = 10.03
- density of states at the Fermi level (states/eV/atom) = 0.758
- SG = P2_1/m (11)
- volume (Å³/cell) = 101

[3]
Entry from the Alexandria database: a geometry-optimized Fe2Hg structure (PBE).

Cell and atoms, written as extended XYZ:
```
6
Lattice="1.463 -8.545 0.000 1.463 8.545 0.000 0.000 0.000 3.922" Properties=species:S:1:pos:R:3 pbc="T T T"
Fe 1.463 7.626 2.942
Fe 1.463 1.060 2.942
Fe 1.463 -1.060 0.981
Fe 1.463 -7.626 0.981
Hg 1.463 3.261 0.981
Hg 1.463 -3.261 2.942
```

Properties
- E_form (eV/atom) = 0.300
- total magnetic moment (Bohr magnetons per cell) = 9.89
- density of states at the Fermi level (states/eV/atom) = 0.796
- SG = Cmcm (63)
- volume (Å³/cell) = 98

[4]
Entry from the Alexandria database: a geometry-optimized FeHg2 structure (PBE).

Cell and atoms, written as extended XYZ:
```
6
Lattice="0.000 3.992 3.992 3.992 0.000 3.992 3.992 3.992 0.000" Properties=species:S:1:pos:R:3 pbc="T T T"
Fe 0.998 0.998 0.998
Fe 6.986 6.986 6.986
Hg 3.992 1.996 1.996
Hg 1.996 3.992 1.996
Hg 1.996 1.996 3.992
Hg 3.992 3.992 3.992
```

Properties
- E_form (eV/atom) = 0.876
- total magnetic moment (Bohr magnetons per cell) = 5.76
- density of states at the Fermi level (states/eV/atom) = 0.730
- SG = Fd-3m (227)
- volume (Å³/cell) = 127

[5]
Entry from the Alexandria database: a geometry-optimized FeHg2 structure (PBE).

Cell and atoms, written as extended XYZ:
```
6
Lattice="4.783 0.000 0.000 -2.391 4.142 0.000 0.000 0.000 5.786" Properties=species:S:1:pos:R:3 pbc="T T T"
Fe 0.000 2.761 1.447
Fe 2.391 1.381 4.340
Hg 0.000 0.000 0.000
Hg 0.000 0.000 2.893
Hg 0.000 2.761 4.340
Hg 2.391 1.381 1.447
```

Properties
- E_form (eV/atom) = 0.569
- total magnetic moment (Bohr magnetons per cell) = 5.52
- density of states at the Fermi level (states/eV/atom) = 1.430
- SG = P6_3/mmc (194)
- volume (Å³/cell) = 115

[6]
Entry from the Alexandria database: a geometry-optimized Fe5Hg structure (PBE).

Cell and atoms, written as extended XYZ:
```
6
Lattice="4.874 0.000 0.000 -2.437 4.221 0.000 0.000 0.000 4.022" Properties=species:S:1:pos:R:3 pbc="T T T"
Fe -1.218 2.110 0.000
Fe 0.000 2.814 2.011
Fe 2.437 0.000 0.000
Fe 1.218 2.110 0.000
Fe 2.437 1.407 2.011
Hg 0.000 0.000 2.011
```

Properties
- E_form (eV/atom) = 0.357
- total magnetic moment (Bohr magnetons per cell) = 11.37
- density of states at the Fermi level (states/eV/atom) = 1.176
- SG = P6/mmm (191)
- volume (Å³/cell) = 83

[7]
Entry from the Alexandria database: a geometry-optimized Fe2Hg structure (PBE).

Cell and atoms, written as extended XYZ:
```
6
Lattice="0.000 3.552 3.552 3.552 0.000 3.552 3.552 3.552 0.000" Properties=species:S:1:pos:R:3 pbc="T T T"
Fe 0.000 0.000 0.000
Fe 1.776 1.776 0.000
Fe 1.776 0.000 1.776
Fe 0.000 1.776 1.776
Hg 2.664 2.664 2.664
Hg 4.440 4.440 4.440
```

Properties
- E_form (eV/atom) = 0.365
- total magnetic moment (Bohr magnetons per cell) = 10.09
- density of states at the Fermi level (states/eV/atom) = 0.701